== Material ==
- - -
Density functional theory data (PBE-GGA) for YHoCu2 after structural relaxation.

Computed properties:
Theoretical density (Mg/m³): 7.66
Energy of formation (kJ/mol of atoms): -24

Cell and atoms, written as CIF:
```
data_YHoCu2
_symmetry_space_group_name_H-M 'F m -3 m'
_symmetry_Int_Tables_number 225
_symmetry_space_group_name_Hall '-F 4 2 3'
_cell_length_a 6.9124
_cell_length_b 6.9124
_cell_length_c 6.9124
_cell_angle_alpha 90.00
_cell_angle_beta 90.00
_cell_angle_gamma 90.00
loop_
_atom_site_label
_atom_site_type_symbol
_atom_site_fract_x
- - -

== Activity ==
What is needed: set down the contents further above exactly.

== Response ==
Density functional theory data (PBE-GGA) for YHoCu2 after structural relaxation.

Computed properties:
Theoretical density (Mg/m³): 7.66
Energy of formation (kJ/mol of atoms): -24

Cell and atoms, written as CIF:
```
data_YHoCu2
_symmetry_space_group_name_H-M 'F m -3 m'
_symmetry_Int_Tables_number 225
_symmetry_space_group_name_Hall '-F 4 2 3'
_cell_length_a 6.9124
_cell_length_b 6.9124
_cell_length_c 6.9124
_cell_angle_alpha 90.00
_cell_angle_beta 90.00
_cell_angle_gamma 90.00
loop_
_atom_site_label
_atom_site_type_symbol
_atom_site_fract_x